## Listing
-- begin --
Entry 1:
Density functional theory data (ωB97M-V/def2-TZVPD) for a 4-piece molecular cluster, C14H34O10P2 overall.

DFT total energy = -1988.8666 Eh
structure (SMILES) = CCCC[PH3]P(C)O.COC(=O)OC.COC(=O)OC.COC(=O)OC
HOMO = -7.38 eV

Each line ends with the natural charge from an NBO analysis.
Geometry (Å):
C -2.57111 -3.03722 3.54696  -0.614
C -1.38590 -2.96949 4.50056  -0.406
C -0.00918 -3.20959 3.85030  -0.403
C 0.22610 -2.56568 2.47796  -0.761
P -0.10121 -0.69909 2.37762  0.578
P -0.66727 1.48077 2.50384  0.660
C 0.80617 2.16395 3.39741  -0.966
O -0.47292 2.08489 0.95193  -0.991
H -3.45454 -2.65474 4.05529  0.212
H -2.44782 -2.43829 2.65027  0.194
H -2.80026 -4.05701 3.24808  0.208
H -1.52941 -3.75357 5.23923  0.211
H -1.38151 -2.01143 5.01027  0.195
H 0.75010 -2.81106 4.52703  0.198
H 0.18022 -4.28014 3.81864  0.212
H -0.32140 -3.12410 1.71797  0.211
H 1.27913 -2.71591 2.23526  0.217
H -1.27644 -0.88918 1.58222  -0.056
H 1.11379 -0.45503 1.67151  -0.017
H -0.06027 -0.61365 3.81349  -0.077
H 0.47070 2.52218 4.36372  0.237
H 1.22655 2.98766 2.83087  0.248
H 1.54403 1.37907 3.56057  0.214
H -1.35769 2.34572 0.64609  0.495
C -1.09154 3.12566 -6.09014  -0.255
O -0.42626 3.87469 -5.06945  -0.500
C -0.69660 3.47266 -3.82658  0.980
O -1.42817 2.56749 -3.52302  -0.639
O -0.01829 4.24874 -2.97730  -0.503
C -0.22554 3.91386 -1.59975  -0.259
H -0.78043 3.55852 -7.03619  0.198
H -0.79555 2.07937 -6.05283  0.194
H -2.17121 3.21120 -5.98672  0.194
H 0.10898 2.90158 -1.39150  0.208
H -1.27650 4.02583 -1.33733  0.185
H 0.36667 4.61284 -1.01713  0.199
C -1.60969 -9.34555 5.69644  -0.256
O -1.59501 -8.17406 4.87695  -0.494
C -1.43387 -8.41815 3.57547  0.978
O -1.30602 -9.50232 3.07023  -0.640
O -1.43867 -7.25004 2.93142  -0.496
C -1.27301 -7.35758 1.51563  -0.256
H -1.74610 -9.00134 6.71727  0.196
H -2.43458 -9.99847 5.41862  0.193
H -0.66690 -9.88276 5.61574  0.193
H -2.08498 -7.93325 1.07603  0.194
H -0.31660 -7.81694 1.27415  0.194
H -1.29641 -6.34265 1.12915  0.195
C 4.03955 8.76805 -7.46204  -0.255
O 3.88584 7.40234 -7.07265  -0.496
C 3.15947 7.22735 -5.96453  0.978
O 2.65489 8.10333 -5.31094  -0.644
O 3.09366 5.92252 -5.71326  -0.496
C 2.33339 5.58140 -4.54620  -0.253
H 4.64310 8.76162 -8.36501  0.194
H 3.07212 9.21929 -7.67376  0.192
H 4.55105 9.33434 -6.68617  0.192
H 1.30389 5.90499 -4.65098  0.204
H 2.77945 6.02551 -3.65760  0.187
H 2.36003 4.50082 -4.46310  0.196



Entry 2:
Density functional theory data (ωB97M-V/def2-TZVPD) for C11H22Br3NO3 as an isolated structure.

DFT total energy = -8434.6662 Eh
HOMO = -9.89 eV

Each line ends with the natural charge from an NBO analysis.
Geometry (Å):
C 4.21691 -1.00123 -0.65574  -0.635
C 3.93263 0.31482 0.23423  -0.409
C 3.03565 1.41340 -0.57166  -0.411
C 1.48893 0.94785 -0.40053  -0.443
C 0.44532 2.06928 -0.92828  -0.081
O -0.10205 2.90136 0.13476  -0.539
C -1.25169 2.32468 0.72329  0.992
O -1.06755 1.49703 1.65839  -0.558
O -2.59806 2.63643 0.39005  -0.397
N -2.89137 2.33210 -0.92059  -0.342
C -4.09696 1.41819 -0.99907  -0.251
C -3.66405 -0.13519 -1.17582  -0.422
C -2.92045 -0.65579 0.16546  -0.410
C -3.20649 -2.23481 0.45590  -0.623
H 5.04310 -1.60991 -0.15219  0.220
H 3.24896 -1.62286 -0.64856  0.206
H 4.44547 -0.73383 -1.74589  0.206
H 3.32100 -0.02907 1.14901  0.206
H 4.90776 0.81821 0.59403  0.205
H 3.37546 1.42996 -1.66290  0.200
H 3.19861 2.46428 -0.13432  0.209
H 1.30439 0.64641 0.69178  0.234
H 1.32507 0.02992 -1.08345  0.206
H 1.03494 2.78107 -1.62107  0.200
H -0.37046 1.50703 -1.49619  0.200
H -3.24381 3.21097 -1.35650  0.349
H -4.73712 1.67376 -1.92824  0.204
H -4.80731 1.56822 -0.10163  0.199
H -4.53720 -0.81555 -1.44779  0.214
H -2.86918 -0.14182 -2.00627  0.207
H -1.78831 -0.50065 0.13832  0.213
H -3.42193 -0.08678 1.03768  0.209
H -4.30777 -2.31919 0.79696  0.203
H -2.54489 -2.49394 1.36110  0.217
H -3.00912 -2.89094 -0.45520  0.207
C 2.57839 -3.41257 2.48317  -0.492
Br 1.63398 -1.72061 2.56000  0.104
-- stop --

## Assignment
Write out the lines further above up to the one that holds "1.36110", that line included.

## Solution
Entry 1:
Density functional theory data (ωB97M-V/def2-TZVPD) for a 4-piece molecular cluster, C14H34O10P2 overall.

DFT total energy = -1988.8666 Eh
structure (SMILES) = CCCC[PH3]P(C)O.COC(=O)OC.COC(=O)OC.COC(=O)OC
HOMO = -7.38 eV

Each line ends with the natural charge from an NBO analysis.
Geometry (Å):
C -2.57111 -3.03722 3.54696  -0.614
C -1.38590 -2.96949 4.50056  -0.406
C -0.00918 -3.20959 3.85030  -0.403
C 0.22610 -2.56568 2.47796  -0.761
P -0.10121 -0.69909 2.37762  0.578
P -0.66727 1.48077 2.50384  0.660
C 0.80617 2.16395 3.39741  -0.966
O -0.47292 2.08489 0.95193  -0.991
H -3.45454 -2.65474 4.05529  0.212
H -2.44782 -2.43829 2.65027  0.194
H -2.80026 -4.05701 3.24808  0.208
H -1.52941 -3.75357 5.23923  0.211
H -1.38151 -2.01143 5.01027  0.195
H 0.75010 -2.81106 4.52703  0.198
H 0.18022 -4.28014 3.81864  0.212
H -0.32140 -3.12410 1.71797  0.211
H 1.27913 -2.71591 2.23526  0.217
H -1.27644 -0.88918 1.58222  -0.056
H 1.11379 -0.45503 1.67151  -0.017
H -0.06027 -0.61365 3.81349  -0.077
H 0.47070 2.52218 4.36372  0.237
H 1.22655 2.98766 2.83087  0.248
H 1.54403 1.37907 3.56057  0.214
H -1.35769 2.34572 0.64609  0.495
C -1.09154 3.12566 -6.09014  -0.255
O -0.42626 3.87469 -5.06945  -0.500
C -0.69660 3.47266 -3.82658  0.980
O -1.42817 2.56749 -3.52302  -0.639
O -0.01829 4.24874 -2.97730  -0.503
C -0.22554 3.91386 -1.59975  -0.259
H -0.78043 3.55852 -7.03619  0.198
H -0.79555 2.07937 -6.05283  0.194
H -2.17121 3.21120 -5.98672  0.194
H 0.10898 2.90158 -1.39150  0.208
H -1.27650 4.02583 -1.33733  0.185
H 0.36667 4.61284 -1.01713  0.199
C -1.60969 -9.34555 5.69644  -0.256
O -1.59501 -8.17406 4.87695  -0.494
C -1.43387 -8.41815 3.57547  0.978
O -1.30602 -9.50232 3.07023  -0.640
O -1.43867 -7.25004 2.93142  -0.496
C -1.27301 -7.35758 1.51563  -0.256
H -1.74610 -9.00134 6.71727  0.196
H -2.43458 -9.99847 5.41862  0.193
H -0.66690 -9.88276 5.61574  0.193
H -2.08498 -7.93325 1.07603  0.194
H -0.31660 -7.81694 1.27415  0.194
H -1.29641 -6.34265 1.12915  0.195
C 4.03955 8.76805 -7.46204  -0.255
O 3.88584 7.40234 -7.07265  -0.496
C 3.15947 7.22735 -5.96453  0.978
O 2.65489 8.10333 -5.31094  -0.644
O 3.09366 5.92252 -5.71326  -0.496
C 2.33339 5.58140 -4.54620  -0.253
H 4.64310 8.76162 -8.36501  0.194
H 3.07212 9.21929 -7.67376  0.192
H 4.55105 9.33434 -6.68617  0.192
H 1.30389 5.90499 -4.65098  0.204
H 2.77945 6.02551 -3.65760  0.187
H 2.36003 4.50082 -4.46310  0.196



Entry 2:
Density functional theory data (ωB97M-V/def2-TZVPD) for C11H22Br3NO3 as an isolated structure.

DFT total energy = -8434.6662 Eh
HOMO = -9.89 eV

Each line ends with the natural charge from an NBO analysis.
Geometry (Å):
C 4.21691 -1.00123 -0.65574  -0.635
C 3.93263 0.31482 0.23423  -0.409
C 3.03565 1.41340 -0.57166  -0.411
C 1.48893 0.94785 -0.40053  -0.443
C 0.44532 2.06928 -0.92828  -0.081
O -0.10205 2.90136 0.13476  -0.539
C -1.25169 2.32468 0.72329  0.992
O -1.06755 1.49703 1.65839  -0.558
O -2.59806 2.63643 0.39005  -0.397
N -2.89137 2.33210 -0.92059  -0.342
C -4.09696 1.41819 -0.99907  -0.251
C -3.66405 -0.13519 -1.17582  -0.422
C -2.92045 -0.65579 0.16546  -0.410
C -3.20649 -2.23481 0.45590  -0.623
H 5.04310 -1.60991 -0.15219  0.220
H 3.24896 -1.62286 -0.64856  0.206
H 4.44547 -0.73383 -1.74589  0.206
H 3.32100 -0.02907 1.14901  0.206
H 4.90776 0.81821 0.59403  0.205
H 3.37546 1.42996 -1.66290  0.200
H 3.19861 2.46428 -0.13432  0.209
H 1.30439 0.64641 0.69178  0.234
H 1.32507 0.02992 -1.08345  0.206
H 1.03494 2.78107 -1.62107  0.200
H -0.37046 1.50703 -1.49619  0.200
H -3.24381 3.21097 -1.35650  0.349
H -4.73712 1.67376 -1.92824  0.204
H -4.80731 1.56822 -0.10163  0.199
H -4.53720 -0.81555 -1.44779  0.214
H -2.86918 -0.14182 -2.00627  0.207
H -1.78831 -0.50065 0.13832  0.213
H -3.42193 -0.08678 1.03768  0.209
H -4.30777 -2.31919 0.79696  0.203
H -2.54489 -2.49394 1.36110  0.217